**Given**
-- begin --
Here is a cluster of 5 separate species, C37H69NO16 in total from OMol25. Energies are from wB97M-V/def2-TZVPD.

Last column: Löwdin charge in e.
Element x y z (Å)
C1 5.2901 -3.2233 -1.5080  -0.0793
C2 4.5898 -1.8546 -1.4680  -0.1324
C3 3.3184 -1.8322 -0.6438  -0.4703
O1 2.9036 -2.7973 -0.0424  0.1128
O2 2.6942 -0.6156 -0.6102  -0.0243
C4 1.2838 -0.7294 -0.8339  -0.1496
C5 0.4240 -0.7423 0.4685  -0.0835
C6 -0.8927 -1.4050 0.0806  -0.2076
C7 -1.2750 -2.5462 0.7423  -0.0072
C8 -2.4257 -3.2210 0.4060  0.0137
C9 -3.1634 -2.7179 -0.6192  -0.0980
C10 -2.7889 -1.5523 -1.2712  -0.0821
C11 -1.6563 -0.8817 -0.9417  0.0409
C12 -3.8473 -1.2637 -2.3219  -0.3611
O3 -4.0521 -0.1966 -2.8417  0.1371
N1 -4.5803 -2.4857 -2.5121  0.1433
C13 -4.4316 -3.2103 -1.2576  -0.3550
O4 -5.2448 -3.9941 -0.8796  0.1445
H1 4.6449 -4.0539 -1.2315  0.0716
H2 6.1944 -3.1919 -0.9016  0.0738
H3 5.6190 -3.4016 -2.5356  0.0716
H4 4.3901 -1.4487 -2.4618  0.1230
H5 5.2756 -1.1423 -0.9937  0.1078
H6 1.0315 -1.6471 -1.3698  0.1332
H7 0.9855 0.1206 -1.4496  0.1273
H8 0.9400 -1.3907 1.1751  0.0921
H9 0.2610 0.2651 0.8516  0.1279
H10 -0.6940 -2.9638 1.5556  0.1187
H11 -2.7485 -4.1232 0.9108  0.1317
H12 -1.3818 0.0194 -1.4771  0.1389
H13 -4.0563 -2.9643 -3.2453  0.1580
C14 2.8446 -2.0410 3.8677  -0.1029
O5 1.8931 -1.2480 4.5381  -0.1971
C15 0.6049 -1.8349 4.5467  -0.2040
C16 -0.1366 -1.5341 5.8320  -0.1783
O6 0.3158 -2.2684 6.9601  -0.1219
C17 1.5912 -1.9449 7.4986  -0.1797
C18 1.6606 -0.6010 8.1946  -0.1992
O7 1.6732 0.4640 7.2572  -0.2018
C19 0.9795 1.6084 7.7024  -0.1148
H14 2.6535 -2.0325 2.7882  0.0720
H15 3.8302 -1.6178 4.0591  0.0891
H16 2.8397 -3.0733 4.2353  0.0915
H17 0.6722 -2.9208 4.4124  0.1271
H18 0.0559 -1.4066 3.6957  0.1171
H19 -1.1749 -1.8443 5.6891  0.1287
H20 -0.1555 -0.4632 6.0388  0.1182
H21 2.3738 -2.0447 6.7450  0.1179
H22 1.7812 -2.7122 8.2531  0.1278
H23 2.5897 -0.5474 8.7766  0.1276
H24 0.8086 -0.5075 8.8770  0.1255
H25 -0.0291 1.3520 8.0453  0.0868
H26 0.8907 2.2932 6.8603  0.0880
H27 1.5284 2.1071 8.5090  0.0882
C20 8.2350 5.5589 0.3706  -0.1140
O8 7.7249 4.2643 0.1401  -0.2036
C21 8.7340 3.2975 -0.1094  -0.1985
C22 8.3555 1.9479 0.4638  -0.1823
O9 8.4616 1.8514 1.8774  -0.1229
C23 7.5189 2.5642 2.6683  -0.1787
C24 6.1082 2.0163 2.6134  -0.1941
O10 5.4827 2.3428 1.3831  -0.1979
C25 4.6186 1.3352 0.9067  -0.1173
H28 8.6175 5.9991 -0.5568  0.0880
H29 7.4188 6.1762 0.7437  0.0881
H30 9.0257 5.5437 1.1290  0.0871
H31 9.6908 3.6179 0.3170  0.1252
H32 8.8444 3.2077 -1.1981  0.1273
H33 9.0718 1.2184 0.0770  0.1273
H34 7.3693 1.6326 0.1191  0.1151
H35 7.5412 3.6310 2.4417  0.1178
H36 7.8723 2.4535 3.6964  0.1279
H37 5.5170 2.4650 3.4219  0.1295
H38 6.1394 0.9305 2.7577  0.1248
H39 5.1202 0.3601 0.8859  0.0792
H40 4.3314 1.5922 -0.1108  0.0728
H41 3.7173 1.2789 1.5271  0.0954
C26 -8.1868 -1.8647 -1.3783  -0.1097
O11 -8.8473 -2.5607 -2.4127  -0.1970
C27 -8.0507 -3.5779 -3.0075  -0.1975
C28 -8.9103 -4.7470 -3.4386  -0.1780
O12 -9.3672 -5.5745 -2.3757  -0.1230
C29 -10.3492 -5.0482 -1.4951  -0.1826
C30 -11.7243 -4.8782 -2.1094  -0.2006
O13 -11.7656 -3.7612 -2.9827  -0.2001
C31 -12.5979 -3.9584 -4.1026  -0.1175
H42 -7.4160 -1.2073 -1.7960  0.0835
H43 -8.9282 -1.2583 -0.8584  0.0868
H44 -7.7385 -2.5523 -0.6526  0.0824
H45 -7.2647 -3.9093 -2.3216  0.1001
H46 -7.5712 -3.1426 -3.8946  0.1261
H47 -8.2867 -5.3987 -4.0563  0.1261
H48 -9.7400 -4.4201 -4.0672  0.1160
H49 -10.0041 -4.1252 -1.0272  0.1186
H50 -10.4398 -5.7907 -0.6981  0.1266
H51 -12.4548 -4.7045 -1.3082  0.1264
H52 -11.9935 -5.7971 -2.6420  0.1241
H53 -12.3549 -4.8951 -4.6171  0.0860
H54 -12.4275 -3.1344 -4.7940  0.0880
H55 -13.6536 -3.9618 -3.8078  0.0872
C32 -0.4515 3.2654 -5.5947  -0.1130
O14 0.7301 3.7775 -5.0187  -0.2037
C33 1.1186 5.0334 -5.5561  -0.1983
C34 1.7523 5.9131 -4.4986  -0.1812
O15 0.8362 6.4718 -3.5670  -0.1230
C35 0.2318 5.5982 -2.6233  -0.1812
C36 1.1733 5.0669 -1.5616  -0.1995
O16 2.0336 4.0702 -2.0888  -0.2041
C37 3.3286 4.0959 -1.5241  -0.1058
H56 -0.2705 2.9243 -6.6199  0.0878
-- stop --

**Work order**
Please transcribe everything above exactly.

**Result**
Here is a cluster of 5 separate species, C37H69NO16 in total from OMol25. Energies are from wB97M-V/def2-TZVPD.

Last column: Löwdin charge in e.
Element x y z (Å)
C1 5.2901 -3.2233 -1.5080  -0.0793
C2 4.5898 -1.8546 -1.4680  -0.1324
C3 3.3184 -1.8322 -0.6438  -0.4703
O1 2.9036 -2.7973 -0.0424  0.1128
O2 2.6942 -0.6156 -0.6102  -0.0243
C4 1.2838 -0.7294 -0.8339  -0.1496
C5 0.4240 -0.7423 0.4685  -0.0835
C6 -0.8927 -1.4050 0.0806  -0.2076
C7 -1.2750 -2.5462 0.7423  -0.0072
C8 -2.4257 -3.2210 0.4060  0.0137
C9 -3.1634 -2.7179 -0.6192  -0.0980
C10 -2.7889 -1.5523 -1.2712  -0.0821
C11 -1.6563 -0.8817 -0.9417  0.0409
C12 -3.8473 -1.2637 -2.3219  -0.3611
O3 -4.0521 -0.1966 -2.8417  0.1371
N1 -4.5803 -2.4857 -2.5121  0.1433
C13 -4.4316 -3.2103 -1.2576  -0.3550
O4 -5.2448 -3.9941 -0.8796  0.1445
H1 4.6449 -4.0539 -1.2315  0.0716
H2 6.1944 -3.1919 -0.9016  0.0738
H3 5.6190 -3.4016 -2.5356  0.0716
H4 4.3901 -1.4487 -2.4618  0.1230
H5 5.2756 -1.1423 -0.9937  0.1078
H6 1.0315 -1.6471 -1.3698  0.1332
H7 0.9855 0.1206 -1.4496  0.1273
H8 0.9400 -1.3907 1.1751  0.0921
H9 0.2610 0.2651 0.8516  0.1279
H10 -0.6940 -2.9638 1.5556  0.1187
H11 -2.7485 -4.1232 0.9108  0.1317
H12 -1.3818 0.0194 -1.4771  0.1389
H13 -4.0563 -2.9643 -3.2453  0.1580
C14 2.8446 -2.0410 3.8677  -0.1029
O5 1.8931 -1.2480 4.5381  -0.1971
C15 0.6049 -1.8349 4.5467  -0.2040
C16 -0.1366 -1.5341 5.8320  -0.1783
O6 0.3158 -2.2684 6.9601  -0.1219
C17 1.5912 -1.9449 7.4986  -0.1797
C18 1.6606 -0.6010 8.1946  -0.1992
O7 1.6732 0.4640 7.2572  -0.2018
C19 0.9795 1.6084 7.7024  -0.1148
H14 2.6535 -2.0325 2.7882  0.0720
H15 3.8302 -1.6178 4.0591  0.0891
H16 2.8397 -3.0733 4.2353  0.0915
H17 0.6722 -2.9208 4.4124  0.1271
H18 0.0559 -1.4066 3.6957  0.1171
H19 -1.1749 -1.8443 5.6891  0.1287
H20 -0.1555 -0.4632 6.0388  0.1182
H21 2.3738 -2.0447 6.7450  0.1179
H22 1.7812 -2.7122 8.2531  0.1278
H23 2.5897 -0.5474 8.7766  0.1276
H24 0.8086 -0.5075 8.8770  0.1255
H25 -0.0291 1.3520 8.0453  0.0868
H26 0.8907 2.2932 6.8603  0.0880
H27 1.5284 2.1071 8.5090  0.0882
C20 8.2350 5.5589 0.3706  -0.1140
O8 7.7249 4.2643 0.1401  -0.2036
C21 8.7340 3.2975 -0.1094  -0.1985
C22 8.3555 1.9479 0.4638  -0.1823
O9 8.4616 1.8514 1.8774  -0.1229
C23 7.5189 2.5642 2.6683  -0.1787
C24 6.1082 2.0163 2.6134  -0.1941
O10 5.4827 2.3428 1.3831  -0.1979
C25 4.6186 1.3352 0.9067  -0.1173
H28 8.6175 5.9991 -0.5568  0.0880
H29 7.4188 6.1762 0.7437  0.0881
H30 9.0257 5.5437 1.1290  0.0871
H31 9.6908 3.6179 0.3170  0.1252
H32 8.8444 3.2077 -1.1981  0.1273
H33 9.0718 1.2184 0.0770  0.1273
H34 7.3693 1.6326 0.1191  0.1151
H35 7.5412 3.6310 2.4417  0.1178
H36 7.8723 2.4535 3.6964  0.1279
H37 5.5170 2.4650 3.4219  0.1295
H38 6.1394 0.9305 2.7577  0.1248
H39 5.1202 0.3601 0.8859  0.0792
H40 4.3314 1.5922 -0.1108  0.0728
H41 3.7173 1.2789 1.5271  0.0954
C26 -8.1868 -1.8647 -1.3783  -0.1097
O11 -8.8473 -2.5607 -2.4127  -0.1970
C27 -8.0507 -3.5779 -3.0075  -0.1975
C28 -8.9103 -4.7470 -3.4386  -0.1780
O12 -9.3672 -5.5745 -2.3757  -0.1230
C29 -10.3492 -5.0482 -1.4951  -0.1826
C30 -11.7243 -4.8782 -2.1094  -0.2006
O13 -11.7656 -3.7612 -2.9827  -0.2001
C31 -12.5979 -3.9584 -4.1026  -0.1175
H42 -7.4160 -1.2073 -1.7960  0.0835
H43 -8.9282 -1.2583 -0.8584  0.0868
H44 -7.7385 -2.5523 -0.6526  0.0824
H45 -7.2647 -3.9093 -2.3216  0.1001
H46 -7.5712 -3.1426 -3.8946  0.1261
H47 -8.2867 -5.3987 -4.0563  0.1261
H48 -9.7400 -4.4201 -4.0672  0.1160
H49 -10.0041 -4.1252 -1.0272  0.1186
H50 -10.4398 -5.7907 -0.6981  0.1266
H51 -12.4548 -4.7045 -1.3082  0.1264
H52 -11.9935 -5.7971 -2.6420  0.1241
H53 -12.3549 -4.8951 -4.6171  0.0860
H54 -12.4275 -3.1344 -4.7940  0.0880
H55 -13.6536 -3.9618 -3.8078  0.0872
C32 -0.4515 3.2654 -5.5947  -0.1130
O14 0.7301 3.7775 -5.0187  -0.2037
C33 1.1186 5.0334 -5.5561  -0.1983
C34 1.7523 5.9131 -4.4986  -0.1812
O15 0.8362 6.4718 -3.5670  -0.1230
C35 0.2318 5.5982 -2.6233  -0.1812
C36 1.1733 5.0669 -1.5616  -0.1995
O16 2.0336 4.0702 -2.0888  -0.2041
C37 3.3286 4.0959 -1.5241  -0.1058
H56 -0.2705 2.9243 -6.6199  0.0878